By roadie42 - 25/05/2015 03:15 - United States - Farmington
roadie42 tells us more.
Hey, OP here! The vet was worried that he might have a concussion, so they gave him shots to prevent/reduce any swelling. I think he also received a sedative for the x-ray. Anyway, he's doing just fine now...back to his normal happy self. And he got some turkey in the end for his trouble :)
Top comments
Sounds like something i would do lol
I....wouldnt actually...never mind.
You were possessed.
Surprised it wasn't beggin strips lmfao Sorry OP vet bills are just as crazy priced as hospital
But did he get some turkey?
I know I'm a bad person for thinking this, but when I read "I had to race him to the vet" I though of OP saying "On your mark, get set, go!" And then literally racing his dog, while the dog is just laying there unconscious.
your comment is bad and you should feel bad
I even said at the beginning of the comment that it was bad.
Alright I'm not going to lie, after reading that I chuckled a bit. Still pretty terrible that you thought that though
I'm laughing really hard omg that's horrible
I don't understand why this got this many negative votes. Who doesn't like a bad joke?
You laughed or you didn't Missy! (Irish accent)
Me too it was funny
I would do the same if its for turkey. Sorry about the dog OP. Hope he will get well soon
Why would a dog need shots for this?
Assuming he regained consciousness at some point before the X-rays, he may have needed to be sedated for them.
If he didn't have proof that his dog was up to date on his rabies shot they'd have to give the dog another rabies shot before they could treat him. Happened to me with a dog I was given.
Hey, OP here! The vet was worried that he might have a concussion, so they gave him shots to prevent/reduce any swelling. I think he also received a sedative for the x-ray. Anyway, he's doing just fine now...back to his normal happy self. And he got some turkey in the end for his trouble :)
Glad to here he's OK op, some people might not have been so nice to him
Glad he's okay, OP!
I'm glad he is ok. You can re-train him to be calm when he smells something good in the kitchen. When he comes in, have a treat ready. Hold it next to your eye so he is looking at you, tell him to sit or lay down (or any other command). When he is calm, give him the treat or put it in his dish (my preference, but not necessary).
What kind of dog do you have?
Op my puppy died from boxer syndrome. He went blind in his old age and kept running in to things. Just keep an eye on the poor dog ok?
get pet insurance. Healthy paws is an awesome company.
That was the plan all along...
So...your dog is a pug now
Inserted here: records of molecules.
<<<
{
  "formula": "C45H53Cl3InN6O5S2Si",
  "method": "wB97M-V/def2-TZVPD",
  "e_above_lowest_kcal_mol": 12.7,
  "spin_multiplicity": 1,
  "mol_weight_g_mol": 1071.353,
  "total_charge": -1,
  "e_homo_ev": [-5.08, -4.30],
  "homo_lumo_gap_ev": [6.48, 5.71],
  "symbols": ["In", "C", "C", "C", "C", "C", "C", "C", "N", "C", "C", "C", "C", "C", "C", "C", "N", "C", "C", "C", "C", "H", "H", "H", "H", "H", "H", "H", "H", "H", "H", "H", "H", "H", "H", "H", "H", "H", "H", "H", "H", "H", "H", "H", "H", "Cl", "Si", "Cl", "Cl", "O", "N", "C", "C", "C", "C", "C", "C", "C", "C", "C", "C", "H", "H", "H", "H", "H", "H", "H", "H", "H", "H", "H", "H", "S", "C", "C", "C", "N", "C", "C", "C", "C", "C", "N", "C", "C", "H", "H", "H", "H", "H", "H", "H", "H", "C", "O", "H", "H", "H", "N", "C", "C", "C", "C", "C", "C", "S", "O", "O", "O", "H", "H", "H", "H", "H", "H"],
>>>
Congrats... my dog wont even come and see me if I have bacon in hand.
But Turkey is sooo good! Just be thankful he's ok though. Good pet parent
#11 You are the reason why we can't have nice things. That was bad and you should feel bad.
Awe I found this funny! XD

Why would a dog need shots for this?
Congrats... my dog wont even come and see me if I have bacon in hand.